The community is mourning the death of activist Themba Nobatana, fondly known as Mzala, who passed away of a heart attack on Monday May 18.
Themba was born in February 1966 in Gugulethu.
He began his youth activism in the Scout Movement at 1st Gugulethu.
This is where his leadership qualities sprung up.
Themba was also a lead drummer in the 1st Gugulethu Scout Troop band.
A proud activist and leader from the dusty streets of Gugulethu, he was a vibrant formidable member of the youth movement.
He became part of the 1980 school boycotts, when he was still at primary school at Intshinga Primary.
This is where his political light started to shine, under the stewardship of Kent Mkalipi/Oupa Lehulere and Whitey Jacobs. This is also the time when Congress of South African Students (COSAS) leaders like Nyami Booi and Shepherd ‘’Shepi’’ Mati took him under their wing.
Themba went on to Sizamile High School where he became a feisty student leader at the tender age of 14.
At Sizamile, he played a pivotal role as a student activist, under the banner of Cosas.
The theme of “Student-Worker Action was implanted in Themba from his interaction with Shepi and Nyami and this was what defined Themba’s political ideology throughout his life and time as an activist.
It was also at this point that Themba carried the torch for the leftist Marxist programme.
He held a firm conviction that our revolution for freedom should be led by workers and that post liberation, workers should be in charge of running the state under the banner of socialism.
In mid-1985 Cosas was banned and the apartheid regime made it extremely difficult to organise openly.
A plan was hatched to establish an underground student forum to keep the momentum going. This is when the Joint SRCs structure was formed under the leadership of the late Lolo ‘’Tall’’ Mkhonto.
At the core of this leadership were Themba, Nikita Vazi, Sthera Ndaba, Shula, the late Patrick Thulo and others. This group was at the centre of mobilising both parents, teachers and students around the famous province and countrywide school boycott of 1985.
This was a watershed moment in student politics because it was during this period that Themba shone as an astute thinker and negotiator whose power of persuasion ensured that parents, teachers and students alike supported the call for a school boycott as well as rent boycotts.
This was centred around the correctly held belief that there can never be normal schooling in an abnormal society and that students were community members first before they were students. Hence the importance of the student-worker alliance.
Cosas mobilised under the slogan “Each One Teach One”. Themba was one of those who were involved in organising programmes to ensure that education continued during the school boycott.
As a youth activist outside school, Themba was instrumental in the formation of the South African Youth Congress (SAYCO).
He represented the Western Cape at the ANC Youth League’s first national conference on South African soil in 1991 KwaNdebele.
In the late 1980s, Themba was one of the first group of his generation to go and study at the University of Cape Town (UCT) with the likes of Sthera Ndaba, the current Auditor-General Kimi Makwetu, Lizo Ngcokoto and others. This was at a time when UCT was still regarded as a white, elitist institution.
UCT was chosen deliberately to use it as a site of black student activism. The old Cosas comradeship between Themba and Lizo emerged again as they literally shook the then vice-chancellor Stewart Saunders who was forced into an unplanned retirement. It is also at UCT that Themba continued with his student-worker action mobilisation and ensured that black workers were treated with respect by the administration and more importantly, that black students were afforded a deserving opportunity to study at UCT.
He fought vehemently against financial and academic exclusion of black students at UCT.
As if to complete his political profile, Themba was enlisted into the ranks of Umkhonto we Sizwe (MK) and trained by Andile Apleni.
He served the ANC in various capacities and was prominent as a policy specialist under Jeff Radebe at the Shell House ANC headquarters in Johannesburg. This is where he excelled behind the scenes, drafting many of the ANC’s key policies.
He came back to Cape Town and worked in the office of the then ANC Chief Whip Tony Yengeni in Parliament. He served a short stint as the head of office for the then MEC Mcebisi Skwatsha in 2004.
In 2013 he left Cape Town again to work at the Department of Human Settlements in Pretoria, where he served as the chief director responsible for the governance framework, a befitting job function given his policy background.
# The text is interrupted by calculated crystals
____________
Version i
Material: Y2CoBr
Method: DFT, PBE-GGA
State: relaxed

As for the density of states at the Fermi level: 2.37 states/eV/cell.

Cell: 6.3545 6.3545 6.3545 Å, 143.48 143.48 52.61°
Closest atoms and distances in Å follow each position.
Sites, in units of the cell vectors:
Y1 0.2500 0.7500 0.5000  4 Co 2.82
Y2 0.0000 0.0000 0.0000  4 Br 2.82
Co1 0.7500 0.2500 0.5000  4 Y 2.82
Br1 0.5000 0.5000 0.0000  4 Y 2.82

Version ii
Material: Y2CoBr
Method: DFT, PBE-GGA
State: relaxed

As for the density of states at the Fermi level: 1.42 states/eV/cell.

Cell: 3.8784 3.8784 7.9272 Å, 75.83 75.83 60.02°
Closest atoms and distances in Å follow each position.
Sites, in units of the cell vectors:
Y1 0.9801 0.9801 0.0594  3 Co 2.67
Y2 0.5199 0.5199 0.4406  3 Co 2.67
Br1 0.7500 0.7500 0.7500  6 Y 3.25
Co1 0.2500 0.2500 0.2500  6 Y 2.67

Version iii
Material: Y2CoBr
Method: DFT, PBE-GGA
State: relaxed

As for the density of states at the Fermi level: 4.04 states/eV/cell.

Cell: 9.9478 9.9478 9.9478 Å, 20.89 20.89 20.89°
Closest atoms and distances in Å follow each position.
Sites, in units of the cell vectors:
Y1 0.0127 0.0127 0.0127  3 Co 2.75
Y2 0.2412 0.2412 0.2412  3 Br 2.91
Br1 0.5051 0.5051 0.5051  3 Y 2.91
Co1 0.7410 0.7410 0.7410  3 Y 2.75

It comes down to version ii, which is 561 meV per atom more stable than the next structure.

Version i
Material: Y2CoBr
Method: DFT, PBE-GGA
State: relaxed

As for the density of states at the Fermi level: 2.42 states/eV/cell.

Cell: 3.3828 3.3828 8.1027 Å, 90.00 90.00 90.05°
Closest atoms and distances in Å follow each position.
Sites, in units of the cell vectors:
Br1 0.5000 0.5000 0.2500  4 Br 3.38, 8 Y 3.40
Y1 0.0000 0.0000 0.9520  4 Co 2.90
Y2 0.0000 0.0000 0.5480  4 Co 2.90
Co1 0.5000 0.5000 0.7500  8 Y 2.90

Version ii
Material: Y2CoBr
Method: DFT, PBE-GGA
State: relaxed

As for the density of states at the Fermi level: 2.43 states/eV/cell.

Cell: 3.3973 3.4835 8.2705 Å, 90.02 90.00 90.00°
Closest atoms and distances in Å follow each position.
Sites, in units of the cell vectors:
Br1 0.5000 0.2500 0.2500  4 Y 3.03
Co1 0.5000 0.7500 0.7500  8 Y 2.92-2.93
Y1 0.0000 0.2496 0.5537  4 Co 2.92-2.93, 2 Br 3.03, 1 Y 3.25
Y2 0.0000 0.2504 0.9463  4 Co 2.92-2.93, 2 Br 3.03, 1 Y 3.25

Version iii
Material: Y2CoBr
Method: DFT, PBE-GGA
State: relaxed

As for the density of states at the Fermi level: 4.21 states/eV/cell.

Cell: 8.1637 8.1638 8.1638 Å, 154.50 155.09 35.95°
Closest atoms and distances in Å follow each position.
Sites, in units of the cell vectors:
Y1 0.7766 0.2766 0.5000  4 Co 2.79
Y2 0.0750 0.0750 0.0000  2 Co 2.64
Br1 0.4492 0.4492 0.0000  6 Y 3.19-3.21, 2 Br 3.52
Co1 0.1992 0.6992 0.5000  6 Y 2.64-2.79

Version iv
Material: Y2CoBr
Method: DFT, PBE-GGA
State: relaxed

As for the density of states at the Fermi level: 2.69 states/eV/cell.

Cell: 5.3084 5.3084 5.3084 Å, 135.56 112.49 84.46°
Closest atoms and distances in Å follow each position.
Sites, in units of the cell vectors:
____________
He met his untimely death while still in the employ of the department. He leaves behind his wife Nomava, his children Noni and Lukhanyo, his brother Siphiwo and sisters Neliswa and Luleka.
Hamba Kahle Themba Nobatana.